Saturday, November 27, 2010

Multifunction Phased-Array Radar: Time Balance Scheduler for Adaptive Weather Sensing

Ricardo Reinoso-Rondinel, Tian-You Yu, and Sebastián Torres, 2010: Multifunction Phased-Array Radar: Time Balance Scheduler for Adaptive Weather Sensing. J. Atmos. Oceanic Technol., 27, 1854–1867. doi:

Abstract. Phased-array radars (PARs) have the capability of instantaneously and dynamically controlling beam position on a pulse-by-pulse basis, which allows a single radar to perform multiple functions, such as tracking multiple storms or weather and aviation surveillance. Moreover, these tasks can be carried out with different update times to achieve the goal of better characterizing and forecasting the storms of interest. However, these tasks usually compete for finite radar resources, and scheduling algorithms are often needed to address resource contention. To capitalize on the PAR capabilities, an algorithm based on the concept of time balance (TB) is developed for adaptive weather sensing. Two quality measures are introduced to quantify the gain of adaptive sensing relative to standard scanning patterns used by the Weather Surveillance Radar-1988 Doppler (WSR-88D). A simulation experiment is performed to demonstrate the advantages of adaptive sensing and to test and verify the performance of the TB scheduling algorithm. It is shown that the gain of adaptive sensing can be realized by the TB scheduler; that is, storms of interest can be revisited more frequently within a relatively short period time compared to conventional scanning.

Thursday, September 23, 2010

Radio Wave Propagation in the Marine Boundary Layer

Radio Wave Propagation in the Marine Boundary Layer by Alexander Kukushkin

Based on his many years of professional experience at leading companies in communications technology, the author describes an analytical solution for wave propagation over the sea surface in an atmospheric boundary layer. His approach allows the detailed analysis of combined effects of diffraction, refraction and scattering in random media. While specific applications covered are targeted at radio wave propagation over the sea surface, a similar approach is applicable to many problems in underwater acoustics, seismology, solid matter physics and astrophysics. - Amazon

Tuesday, June 15, 2010


Type 968 mast head surveillance radar for the SEAWOLF missile system
Type 968 mast head surveillance radar for the SEAWOLF missile system

Wednesday, May 12, 2010

Russia Upgrades Air Defenses

By Maxim Pyadushkin, Moscow

The Russian air force took delivery of the first Pantsyr-S short-range air-defense systems in March. The Pantsyrs will gradually replace the old Tunguska antiaircraft weapons. The first 10 systems were released from KBP Instrument Design Bureau’s assembly site in Tula and transported to Alabino, near Moscow, and will be part of the Victory Day parade in Red Square on May 9.

Pantsir-S (photo

What’s unusual is that the first Pantsyr systems are being deployed to protect high-end surface-to-air missiles (SAMs) against aircraft, missiles and bombs.

Friday, March 26, 2010

Range-Doppler Imaging of Rotating Objects

Walker, Jack L., "Range-Doppler Imaging of Rotating Objects," Aerospace and Electronic Systems, IEEE Transactions on , vol.AES-16, no.1, pp.23,52, Jan. 1980
doi: 10.1109/TAES.1980.308875

Abstract: During the integration time required to obtain fine Dopplerfrequency resolution in a range-Doppler imaging radar, a point on a rotating object may move through several range and Doppler resolution cells and produce a smeared image. This motion can be compensated by storing the appropriately processed return pulse, and the angular coordinates are determined by the angular coordinates of the radar antenna. The resulting stored data represents the three-dimensional Fourier transform of the object reflectivity density, and hence can be processed by an inverse Fourier transformation. Also included is an analysis of the three-dimensional radar/object geometry with separate source and receiver locations. The effects of various system aberrations are investigated and experimental results from a microwave test range which demonstrate the image improvement are presented.


Wednesday, March 24, 2010

Antenna Effects in Depolarization Measurements

____________
For K6MgSb2S8, a structure optimized by DFT (GGA-PBE) gives the computed XRD peak list in this record (Cu Kα (weighted mean of Kα1 and Kα2)).

Atomic structure:
```
data_K6MgSb2S8
_cell_length_a 12.1682
_cell_length_b 11.4570
_cell_length_c 7.9712
_cell_angle_alpha 90.00
_cell_angle_beta 97.54
_cell_angle_gamma 90.00
_symmetry_space_group_name_H-M 'C 1 m 1'
_symmetry_Int_Tables_number 8
_symmetry_space_group_name_Hall 'C -2y'
loop_
_atom_site_label
_atom_site_type_symbol
_atom_site_fract_x
_atom_site_fract_y
_atom_site_fract_z
_atom_site_occupancy
K1 K 0.0000 0.0000 0.0000 1
K2 K 0.1346 0.5000 0.5128 1
K3 K 0.2856 0.2578 0.0948 1
K4 K 0.3857 0.2401 0.5654 1
Mg1 Mg 0.2442 0.0000 0.8493 1
Sb1 Sb 0.0615 0.5000 0.0190 1
Sb2 Sb 0.0926 0.0000 0.4722 1
S1 S 0.0489 0.3299 0.1821 1
S2 S 0.1372 0.1609 0.6860 1
S3 S 0.2329 0.5000 0.9039 1
S4 S 0.2456 0.0000 0.1444 1
S5 S 0.3879 0.5000 0.4170 1
S6 S 0.4337 0.0000 0.7601 1
```

Peak list (10 most intense, 2θ = 10–90°, in order of rising 2θ)
Position (°2θ)  d/Å  Rel. int.  hkl
14.74  6.011  100  1 1 -1
15.47  5.728  41  0 2 0
21.39  4.154  50  2 2 0
27.34  3.262  40  1 3 1
27.42  3.253  39  0 2 2
29.77  3.001  36  2 2 -2
30.30  2.949  43  4 0 -1
31.23  2.864  37  0 4 0
32.66  2.742  34  2 2 2
38.82  2.320  34  0 4 2


For CeGe4Rh6, a structure optimized by DFT (GGA-PBE) gives the computed XRD peak list in this record (Cu Kα (weighted mean of Kα1 and Kα2)).

Atomic structure:
```
data_CeGe4Rh6
_cell_length_a 7.2283
_cell_length_b 7.2283
_cell_length_c 3.8862
_cell_angle_alpha 90.00
_cell_angle_beta 90.00
_cell_angle_gamma 120.00
_symmetry_space_group_name_H-M 'P -6 m 2'
_symmetry_Int_Tables_number 187
_symmetry_space_group_name_Hall 'P -6 2'
loop_
_atom_site_label
_atom_site_type_symbol
_atom_site_fract_x
_atom_site_fract_y
_atom_site_fract_z
_atom_site_occupancy
Ce1 Ce 0.0000 0.0000 0.0000 1
Ge1 Ge 0.1982 0.3964 0.5000 1
Ge2 Ge 0.6667 0.3333 0.0000 1
Rh1 Rh 0.0664 0.5332 0.0000 1
Rh2 Rh 0.3990 0.1995 0.5000 1
```

Peak list (10 most intense, 2θ = 10–90°, in order of rising 2θ)
Position (°2θ)  d/Å  Rel. int.  hkl
33.87  2.647  23  1 1 1
36.87  2.438  100  2 0 1
38.03  2.366  33  2 1 0
44.85  2.021  36  2 1 1
46.75  1.943  26  0 0 2
49.59  1.838  14  3 0 1
50.51  1.807  25  2 2 0
61.78  1.502  16  2 1 2
71.26  1.323  18  2 2 2
80.62  1.192  12  5 0 1


For TaTlCl6, a structure optimized by DFT (GGA-PBE) gives the computed XRD peak list in this record (Cu Kα (weighted mean of Kα1 and Kα2)).

Atomic structure:
```
data_TaTlCl6
_cell_length_a 12.3283
_cell_length_b 6.4900
_cell_length_c 12.5199
_cell_angle_alpha 90.00
_cell_angle_beta 102.00
_cell_angle_gamma 90.00
_symmetry_space_group_name_H-M 'C 1 2/c 1'
_symmetry_Int_Tables_number 15
_symmetry_space_group_name_Hall '-C 2yc'
loop_
_atom_site_label
_atom_site_type_symbol
_atom_site_fract_x
_atom_site_fract_y
_atom_site_fract_z
_atom_site_occupancy
Ta1 Ta 0.2500 0.2500 0.0000 1
Tl1 Tl 0.0000 0.1185 0.2500 1
Cl1 Cl 0.0816 0.3813 0.8966 1
____________

Blanchard, A.J.; Jean, Buford Randall, "Antenna Effects in Depolarization Measurements," IEEE Transactions on Geoscience and Remote Sensing, vol.GE-21, no.1, pp.113,117, Jan. 1983, doi: 10.1109/TGRS.1983.350537

Abstract: The depolarization of electromagnetic energy scattered from natural terrain has been of interest to experimenters and theoreticians for many years. However, the reported measurements have not agreed with theoreticaly predicted results. Boresight axial ratio has commonly been used as a figure of merit to describe the polarization isolation properties of the measurement system antennas. Since depolarization measurements from terrain involve extended targets which fill the full antenna beam, boresight axial ratio is often an inadequate measure of antenna polarization purity. This paper describes antenna isolation characteristics which impact the quality of the depolarized measurements. Representative calculations demonstrate the effects of nonideal antenna systems on the observed measurements. A criterion for antenna specification is given which will provide high-quality cross-polarized measurements.

- - -
# 1
Structure and calculated X-ray powder pattern of Y4InSi (DFT lattice parameters and positions (GGA-PBE); CuKα).
Intensities are scaled so that the largest is 100.

Atomic structure:
Cell lengths 5.7364, 6.7392, 8.5951 Å; angles 90.00, 99.46, 90.00 degrees
Space group P2_1/m (No. 11)
Symmetry-distinct sites (fractional):
Y1 0.1515 0.2500 0.0542 (multiplicity 2)
Y2 0.1913 0.7500 0.3629 (multiplicity 2)
Y3 0.3340 0.5079 0.7497 (multiplicity 4)
In1 0.2351 0.2500 0.4220 (multiplicity 2)
Si1 0.3494 0.7500 0.0403 (multiplicity 2)

Largest 10 diffraction maxima, by angle, 2θ = 10–90°:
- 28.3 deg, d = 3.153 Å, I 33, hkl 1 0 2
- 31.3 deg, d = 2.856 Å, I 31, hkl 1 1 2
- 31.6 deg, d = 2.828 Å, I 100, hkl 2 0 -1
- 31.8 deg, d = 2.813 Å, I 80, hkl 1 2 -1
- 33.0 deg, d = 2.713 Å, I 73, hkl 1 0 -3
- 33.5 deg, d = 2.672 Å, I 67, hkl 1 2 1
- 34.0 deg, d = 2.638 Å, I 76, hkl 0 2 2
- 34.4 deg, d = 2.607 Å, I 28, hkl 2 1 -1
- 37.9 deg, d = 2.377 Å, I 33, hkl 1 0 3
- 55.9 deg, d = 1.645 Å, I 29, hkl 3 2 0

---

# 2
Structure and calculated X-ray powder pattern of Y5In2Si2 (DFT lattice parameters and positions (GGA-PBE); CuKα).
Intensities are scaled so that the largest is 100.

Atomic structure:
Cell lengths 15.8261, 7.6626, 7.6687 Å; angles 90.00, 90.00, 90.00 degrees
Space group Cmce (No. 64)
Symmetry-distinct sites (fractional):
Y1 0.0000 0.0000 0.0000 (multiplicity 4)
Y2 0.1245 0.1836 0.3199 (multiplicity 16)
In1 0.2213 0.0000 0.0000 (multiplicity 8)
Si1 0.0000 0.1176 0.6199 (multiplicity 8)

Largest 10 diffraction maxima, by angle, 2θ = 10–90°:
- 26.0 deg, d = 3.427 Å, I 14, hkl 0 2 1
- 31.1 deg, d = 2.875 Å, I 21, hkl 3 1 2
- 32.5 deg, d = 2.753 Å, I 100, hkl 4 2 0
- 32.8 deg, d = 2.733 Å, I 31, hkl 5 1 1
- 33.1 deg, d = 2.710 Å, I 43, hkl 0 2 2
- 34.6 deg, d = 2.591 Å, I 26, hkl 4 2 1
- 37.5 deg, d = 2.396 Å, I 35, hkl 1 3 1
- 53.5 deg, d = 1.714 Å, I 15, hkl 0 2 4
- 58.9 deg, d = 1.569 Å, I 16, hkl 5 3 3
- 65.6 deg, d = 1.423 Å, I 20, hkl 9 3 1

---

# 3
Structure and calculated X-ray powder pattern of ZrIn3Si (DFT lattice parameters and positions (GGA-PBE); CuKα).
Intensities are scaled so that the largest is 100.

Atomic structure:
Cell lengths 5.1117, 5.1117, 5.1117 Å; angles 90.00, 90.00, 90.00 degrees
Space group Pm-3m (No. 221)
Symmetry-distinct sites (fractional):
Zr1 0.0000 0.0000 0.0000 (multiplicity 1)
In1 0.0000 0.5000 0.5000 (multiplicity 3)
Si1 0.5000 0.5000 0.5000 (multiplicity 1)

Largest 10 diffraction maxima, by angle, 2θ = 10–90°:
- 17.3 deg, d = 5.112 Å, I 5, hkl 1 0 0
- 30.3 deg, d = 2.951 Å, I 100, hkl 1 1 1
- 35.1 deg, d = 2.556 Å, I 65, hkl 2 0 0
- 39.4 deg, d = 2.286 Å, I 2, hkl 2 1 0
- 50.5 deg, d = 1.807 Å, I 45, hkl 2 2 0
- 60.0 deg, d = 1.541 Å, I 41, hkl 3 1 1
- 63.0 deg, d = 1.476 Å, I 15, hkl 2 2 2
- 74.2 deg, d = 1.278 Å, I 7, hkl 4 0 0
- 82.2 deg, d = 1.173 Å, I 16, hkl 3 3 1
- 84.8 deg, d = 1.143 Å, I 20, hkl 4 2 0

---

# 4
- - -
End of the materials data:


Friday, March 19, 2010

Характеристики зенитного комплекса "Панцирь-С"

ВВС России приняли на вооружение первые десять зенитных ракетно-пушечных комплексов "Панцирь-С", сообщил РИА Новости пресс-секретарь управления пресс-службы и информации Минобороны РФ по ВВС подполковник Владимир Дрик.

ЗРПК "Панцирь-С" (Pantsir-S) RIA Novosti

Комплекс был создан в 1994 году и впервые продемонстрирован на авиасалоне в Москве "МАКС-1995". С того времени комплекс был значительно модернизирован, последняя известная модификация демонстрировалась на "МАКС-2007". Предполагается, что в будущем "Панцирь-С" полностью заменит в российской армии ЗРПК "Тунгуска".

Зенитный ракетно-пушечный комплекс "Панцирь-С" предназначен для противовоздушной обороны малоразмерных военных и административно-промышленных объектов и районов от самолетов, вертолетов, крылатых ракет и высокоточного оружия, а также для усиления группировок ПВО при отражении массированных ударов с воздуха.


Wednesday, February 24, 2010

LONGBOW LLC Awarded $86 Million to Support and Sustain U.K. Apache Attack Helicopters

ORLANDO, FL, February 22nd, 2010 — The LONGBOW Limited Liability Company, a joint venture of Lockheed Martin and Northrop Grumman, was recently awarded an $86 million contract from AgustaWestland to support LONGBOW FCR systems on the United Kingdom Apache AH Mk-1 aircraft.

United Kingdom Apache AH Mk-1

“The LONGBOW FCR is an essential element of U.K. Apache operations in Afghanistan,” said Jerry Garman, LONGBOW LLC president and director of LONGBOW programs at Lockheed Martin Missiles and Fire Control. “Through this partnership with AgustaWestland, we will ensure the highest operational availability and system reliability at the lowest sustainment cost”.

The four-year contract includes engineering services, integrated logistics and an in-country repair capability. Support services will continue through March 2014, and will be performed at Wattisham Airfield in the U.K.; Lockheed Martin facilities in Ocala and Orlando, FL; and Northrop Grumman facilities in Baltimore, MD.

The contract is a component of the integrated operational support provided by AgustaWestland to the Ministry of Defence. A formal signing ceremony at the U.K. Apache main operating base at Wattisham Airfield in October marked the launch of this effort.

For more than a decade, the LONGBOW FCR has provided Apache aircrews with target detection, location, classification and prioritization. In all weather, over multiple terrains and through any battlefield obscurant, the radar allows automatic and rapid multi-target engagement. The LONGBOW FCR integrates with the M299 smart launcher and the LONGBOW HELLFIRE missile, enhancing the Apache’s lethality fourfold and increasing survivability sevenfold.

Northrop Grumman Corporation is a global defense and technology company whose 120,000 employees provide innovative systems, products and solutions in information and services, electronics, aerospace and shipbuilding to government and commercial customers worldwide.

Source: Lockheed Martin

Saturday, February 20, 2010

Диагноз российской ПВО

В последние дни из различных источников как в Москве, так и Вашингтоне косяком пошли сообщения о том, что новый договор о стратегических наступательных вооружениях на 95% готов и нынешней весной его обязательно подпишут. Говорят также, что Россия уступила по телеметрии (она будет и дальше), а США - по инспекции в Воткинске (ее не возобновят). При этом неизвестно, как решится принципиальнейший вопрос с зачетом боевых частей (БЧ). И, наоборот, вполне очевидно, что проблему противоракетной обороны выведут за рамки договора.

Забыли о важнейшей проблеме

Подробное обсуждение аспектов нового документа о СНВ пока невозможно, он же еще не подписан. Но несколько вещей принципиального характера ясны изначально. Если забыть о глупостях с "оперативно развернутыми" носителями и БЧ, Соединенные Штаты сегодня имеют около 900 носителей (не считая 70 бомбардировщиков В-1В, которые якобы переориентированы на решение неядерных нестратегических задач) и 5,7 тыс. боевых частей.

Последняя цифра верна, если каждый бомбардировщик В-2 считать за одну БЧ и поверить, что на 100 из 450 межконтинентальных баллистических ракет "Минитмен-3" стоит одна БЧ. Но если предположить, что не все "Минитмены" оснащены тремя БЧ, то получается 5,9 тыс. боевых частей.

У России же на 1 июля 2009 года оставалось 608 носителей с 2683 БЧ. Напомню, что на 1 января 2000 года, когда в Кремль въехал Владимир Путин, в составе стратегических ядерных сил РФ насчитывалось 1165 носителей с 5842 боевыми частями. Так что "возрождение мощи" армии и флота родной державы, а также ее "подъем с колен" даром не прошли.

Парадокс в том, что в течение первого десятилетия ХХI века американцы не производили никаких стратегических вооружений. А у нас их выпуск не останавливался никогда - ни в 1990-е, ни в нулевые годы. При этом, однако, в конце девяностых налицо был вполне реальный паритет, теперь же по носителям у США полуторное превосходство и по боевым частям - более чем двойное.